(Very Speculative) Trade Alert: The Helium Network

(Very Speculative) Trade Alert: The Helium Network

Even as I am pretty much bearish on most cryptos, like 99% of the crptos that exist right now, I found one I want to get started on. Here is that story.

Long time subscribers have have heard me say hundreds, if not thousands of times that I like to find Revolutionary ideas and invest in them before they become mainstream. Today, I am bringing you another idea that I have invested in my personal account that I consider to have Revolutionary potential but that is quite risky. Before I get into the details let me first make the disclaimer that this idea is more speculative than most of the ideas that I invest in. The risk profile of an investment like this is way different than, say, making Facebook a large position in my portfolio and therefore this investment is a tiny portion of my personal investments.

With that said, the idea that I am bringing you today as an investment in not really a company but a decentralized network. The network is called the Helium Network or “The People’s Network”. The company behind the idea, Helium Inc., was founded in 2013 by Amir Haleem, Sean Carey, and Shawn Fanning (co-founder of Napster) with the idea of building the world’s first peer-to-peer wireless network connecting a variety of devices commonly called the Internet of Things (IOT). The company is private and well funded, having raised over $53 million from high profile venture capital investors such as Khosla Ventures, Union Square Ventures, and Salesforce.com CEO, Marc Benioff.

Like I mentioned earlier, I did not invest directly in the private company, I am investing into the network. Helium does a great job of explaining the network in this short YouTube video. Basically, the company is building a wireless network on the Helium Blockchain that incentivizes people to contribute to the network (operating wireless hotspots) by rewarding them with crypto tokens called Helium (HNT).

_Someone pasted data records at this point_
~~~
No. 1
Simulated XRD peak list
Compound: K2SiAuSe4
Radiation: copper Kα
Structure: a structure optimized by DFT (PBE)
Neutral-atom scattering factors, no anomalous dispersion.

Structural model:
```
data_K2SiAuSe4
_cell_length_a 7.6478
_cell_length_b 7.6478
_cell_length_c 7.9197
_cell_angle_alpha 90.00
_cell_angle_beta 90.00
_cell_angle_gamma 90.00
_space_group_name_H-M_alt 'I -4'
_space_group_IT_number 82
_space_group_name_Hall 'I -4'
loop_
_atom_site_label
_atom_site_type_symbol
_atom_site_fract_x
_atom_site_fract_y
_atom_site_fract_z
K1 K 0.0000 0.0000 0.0000
K2 K 0.0000 0.5000 0.2500
Si1 Si 0.0000 0.5000 0.7500
Au1 Au 0.0000 0.0000 0.5000
Se1 Se 0.1510 0.2879 0.6021
```

Peak list (10 most intense, 10 to 90 degrees two-theta, sorted by position)
d = 5.501 Å, I = 100
d = 3.195 Å, I = 93
d = 3.140 Å, I = 54
d = 2.704 Å, I = 32
d = 2.418 Å, I = 27
d = 2.090 Å, I = 20
d = 2.064 Å, I = 43
d = 2.049 Å, I = 28
d = 1.806 Å, I = 19
d = 1.758 Å, I = 24



No. 2
Simulated XRD peak list
Compound: KSm2AuSe4
Radiation: copper Kα
Structure: a structure optimized by DFT (PBE)
Neutral-atom scattering factors, no anomalous dispersion.

Structural model:
```
data_KSm2AuSe4
_cell_length_a 4.2384
_cell_length_b 14.3001
_cell_length_c 14.8658
_cell_angle_alpha 90.00
_cell_angle_beta 90.00
_cell_angle_gamma 90.00
_space_group_name_H-M_alt 'C m c m'
_space_group_IT_number 63
_space_group_name_Hall '-C 2c 2'
loop_
_atom_site_label
_atom_site_type_symbol
_atom_site_fract_x
_atom_site_fract_y
_atom_site_fract_z
K1 K 0.0000 0.1243 0.2500
Sm1 Sm 0.0000 0.3684 0.0695
Au1 Au 0.0000 0.1544 0.7500
Se1 Se 0.0000 0.0000 0.0000
Se2 Se 0.0000 0.2666 0.6070
Se3 Se 0.0000 0.4531 0.2500
```

Peak list (10 most intense, 10 to 90 degrees two-theta, sorted by position)
d = 6.443 Å, I = 100
d = 3.570 Å, I = 16
d = 3.098 Å, I = 21
d = 2.914 Å, I = 96
d = 2.744 Å, I = 41
d = 2.669 Å, I = 21
d = 2.478 Å, I = 21
d = 2.411 Å, I = 17
d = 2.139 Å, I = 57
d = 2.119 Å, I = 33

~~~~~

[1]
# Sm6YEr2
Simulated X-ray diffraction stick pattern, Cu Ka. Input: DFT lattice parameters and positions (GGA-PBE).

Atomic structure:
```
Sm6YEr2
1.0
3.6000 0.0000 0.0000
-0.0124 8.8081 0.0000
-1.7918 -0.0223 9.3311
Sm Y Er
6 1 2
Direct
0.1100 0.1656 0.2189
0.2212 0.8339 0.4421
0.3335 0.5003 0.6683
0.6665 0.4997 0.3317
0.7788 0.1661 0.5579
0.8900 0.8344 0.7811
0.0000 0.5000 0.0000
0.4448 0.1666 0.8898
0.5552 0.8334 0.1102
```

Peak list (10 most intense, 2θ from 10° to 80°, low angle first)
| 2θ/deg | I (rel.) |
| --- | --- |
| 30.45 | 100.0 |
| 35.26 | 34.0 |
| 35.37 | 16.7 |
| 50.76 | 24.0 |
| 50.83 | 12.0 |
| 60.32 | 25.1 |
| 60.45 | 17.7 |
| 63.36 | 12.3 |
| 74.50 | 1.9 |
| 74.65 | 1.9 |

[2]
# Rb2TlRhI6
Simulated X-ray diffraction stick pattern, Cu Ka. Input: DFT lattice parameters and positions (GGA-PBE).

Atomic structure:
```
Rb2TlRhI6
1.0
4.3358 2.5033 6.4935
-4.3358 2.5033 6.4935
0.0000 -5.0065 6.4935
Rb Tl Rh I
2 1 1 6
Direct
0.2481 0.2481 0.2481
0.7519 0.7519 0.7519
0.5000 0.5000 0.5000
~~~
_So much for the data records_

The ultimate goal of the company is to connect countless IOT devices to the decentralized network. The use cases are limitless. You know all those annoying scooters you see zooming around every big city? Well, those can be tracked by the network using the Helium LongFi (200x greater range than standard wi-fi network) network. Have you ever lost your dog? Imagine if Spot was wearing a collar with a tracking device connected to a network that blankets the entire city that you live in. How much is that worth? My answer is that it is worth a whole lot more than the fraction of a penny that it costs to use the network. In fact, it is a lot cheaper than using the power hungry cellular network that we are all used to using. To see just some of the use cases, click here and scroll down the left side of the page. These are sensors that are ready for use on the network. The list and use cases are growing steadily and gaining steam as the network is in the very first inning of reaching critical mass. I have purchased a few of these hotspots and I’ve installed just one because they are so backordered that it takes weeks to get them after you order them.

Now on to perhaps the most exciting part of the story.  Helium is going to create the world’s first consumer-owned 5G network. Their first equipment vendor partner FreedomFi is already available for preorder, and yes, I’ve ordered a few of the units. This user-generated/wiki-fied model could potentially solve one of the main problems encountered in the build-out of the 5G network. Infrastructure. The 5G network operates on a much shorter wavelength than the previous 4G network. One benefit of this shorter wavelength is that 5G can carry a lot of data much faster than 4G, but at the expense of a much shorter range than a 4G wavelength. 4G wavelengths have a range of about ten miles, much further than 5G’s range of about 1,000 feet. Not only are 5G signals limited on their range, but they also are easily blocked by trees, buildings, etc. To ensure a strong 5G signal, an infrastructure of a lot of antennas and towers are going to need to be built. Mobile Network Operators like AT&T, T-Mobile and Verizon in addition to Mobile Virtual Network Operators like Cricket Wireless, Straight Talk and Metro will all be able to fill in the voids in their 5G networks using Helium 5G without having the huge expenditure of placing antennas and transceivers in almost every window or rooftop.

Just like with their initial focus of the Internet of Things, the Helium 5G Network is going to be able to enable the users of a particular network to help build out the infrastructure of the network that they are using while getting compensated for their contribution to it. The FreedomFi Gateway, scheduled for shipments in the third quarter of 2021, will operate on the Helium network and allow users to mine HNT while helping to provide 5G coverage to its users. This exciting partnership has as much if not more potential as Helium’s initial purpose of connecting the Internet of Things.

One recent development with the network that could accelerate its adoption is that several miners have been experimenting with connecting their Helium miners to SpaceX’s Starlink satellite broadband that they are currently beta-testing. If this pans out, its a game changer. We are talking about the Helium network providing 5G and IOT coverage EVERYWHERE. I could have 5G coverage on my rural New Mexico ranch. Villages in isolated parts of the world could be connected to the rest of the world literally overnight. Wow! Now that is truly Revolutionary.

So how do we invest in the network? Well, I have invested in two ways. The first, as I mentioned is how Helium (the company) incentivizes people to help build the network. This is done by connecting a Helium mining node referred to as a hotspot to your home or business wi-fi network. Once connected to your wi-fi network there are a couple of ways that you are rewarded with HNT tokens. One is called proof of coverage where your hotspot is randomly assigned a test to complete, verifying that it is indeed on the network. Another way to earn tokens is when your hotspot is actually being used to transfer data across the network. As you can imagine, just like you have heard about real estate investing it is all about location, location, location. If your hotspot is sitting in the window of your New York City office, it will be transferring more data throughout the Helium network than mine sitting on my desk in rural New Mexico, thus earning a lot more of the crypto tokens.

== What comes next are crystal structures, not part of the article ==
____________
Starting from a PBE-relaxed structure, the XRD peak list of CdBPt3 was simulated for Cu Kα.
Intensities are scaled so that the largest is 100.

Crystal structure
```
data_CdBPt3
_chemical_formula_sum 'Cd2 B2 Pt6'
_space_group_name_H-M_alt 'P 1'
_space_group_IT_number 1
_space_group_name_Hall 'P 1'
_cell_length_a 5.732
_cell_length_b 5.732
_cell_length_c 5.368
_cell_angle_alpha 90.00
_cell_angle_beta 90.00
_cell_angle_gamma 120.00
loop_
_atom_site_label
_atom_site_type_symbol
_atom_site_fract_x
_atom_site_fract_y
_atom_site_fract_z
Cd1 Cd 0.333 0.667 0.250
Cd2 Cd 0.667 0.333 0.750
B1 B 0.000 0.000 0.000
B2 B 0.000 0.000 0.500
Pt1 Pt 0.171 0.341 0.750
Pt2 Pt 0.171 0.829 0.750
Pt3 Pt 0.341 0.171 0.250
Pt4 Pt 0.659 0.829 0.750
Pt5 Pt 0.829 0.171 0.250
Pt6 Pt 0.829 0.659 0.250
```

Largest 12 diffraction maxima, in order of rising 2θ, 2θ = 10–80°:
- 24.42°, rel. 6, hkl 1 0 1
- 33.38°, rel. 36, hkl 0 0 2
- 36.19°, rel. 21, hkl 2 0 0
- 40.02°, rel. 100, hkl 2 0 1
- 46.35°, rel. 1, hkl 1 1 2
- 50.05°, rel. 18, hkl 2 0 2
- 64.16°, rel. 25, hkl 2 0 3
- 65.09°, rel. 16, hkl 2 2 0
- 70.12°, rel. 4, hkl 0 0 4
- 75.15°, rel. 21, hkl 2 2 2
- 76.80°, rel. 2, hkl 4 0 0
- 79.22°, rel. 14, hkl 4 0 1
____________

The value of the tokens is strictly tied to use case within the Helium network. The purpose of the token is to exchange them into data credits that can be used by customers in the network (owner of the scooter company tracking her scooters or the users of the new 5G network). As the tokens are turned into data credits, the token is “burned” which means it used up and can be replaced with a newly mined token. Those of you that have taken a recent look at your cell phone bill can imagine how valuable those data credits will be if/when the Helium 5G network is fully operational. The number of tokens that will be in circulation like with Bitcoin, is finite. As I type this, about thirty eight percent of the maximum number of tokens have already been created and are outstanding. The value of the tokens have risen exponentially in the last year from pennies last summer to around $12 as I type this (more on exponential valuation explosions in just a minute).

This leads me to the other way in which I have invested in the network. Using Binance.us, which offers HNT trading is unfortunate because I don’t trust it as much as I do Coinbase which does not support HNT trading, I have invested a TINY, tiny bit — and I mean tiny bit of capital — into a few HNT tokens. As the Helium network continues to gain momentum, you can expect to find it trading on other platforms such as Coinbase in a year or two. I am also now actively mining some HNT tokens with my first Helium lowfi hotspot up and running which has already kicked in a handful of tokens over the last few weeks since we got it delivered and set up.

One issue with most cryptocurrencies like bitcoin and which the media has finally caught onto, it seems, is the problem of how much energy consumption is involved in crypto mining. According to the Cambridge Center for Alternative Finance, Bitcoin uses about 110 Terawatt Hours per year, which is about a half a percent of global energy production in the mining of its cryptocurrency. Granted, much of that mining is done at energy generation facilities next to things like waterfalls in China that were purpose-built to mine bitcoin and eventually, those places will likely actually help generate clean electricity for those areas. All that said, it’s HNT that is unlike most every other cryptocurrency that simply wastes electricity in the mining of its coins. The Helium Network “mines” HNT tokens only when it’s providing functionality to the network (and thus the world).

Everywhere you look, watch or read these days you see buzzwords that I have mentioned in this article like decentralized and crypto. Some of the ideas behind these buzzwords are complete junk, scams or frauds. I spend all day, every day going through these ideas and trying to weed out these losers and find a true diamond in the rough. This network has the potential to be one of those rare finds. Like I said earlier, the network is in the early days of gaining critical mass. But, it is growing rapidly and it is based on an idea that is extremely useful and cost effective. That is a great start to becoming something truly successful and truly Revolutionary.

I have previously mentioned one of my all-time favorite books, Information Rules, and in it the authors mention network externalities. They define network externalities as when network participants affect others without compensation being paid. They go on to say that network externalities are what is behind a rule of thumb called Metcalfe’s Law. Metcalfe’s law states that a value of a network goes up as the square of the number of users. It is this exponential growth in the value of a network that has gotten us into long-term winners such as Apple when their ecosystem began growing rapidly just like Google, Netflix or any other company that has seen their market cap swell exponentially with their user base. Even though Helium network participants are kind of being compensated for their involvement, this principal applies here as well. For every new participant in the Helium network, the value of the Helium network grows exponentially. And the network is growing rapidly.

• The text is interrupted by calculated crystals:
'''
[1]
Computed X-ray powder pattern
Compound: K6CdPb8
Radiation: Cu Kα, 1.54184 Å
Structure: a cell relaxed with GGA-PBE
Lines closer than 0.1° are merged.

Atomic structure:
a b c (Å): 29.4122 7.0140 19.0130
angles (deg): 90.00 116.84 90.00
Space group C2/m (No. 12)
Symmetry-distinct sites (fractional):
K 0.0137 0.0000 0.2185 x4
K 0.0445 0.5000 0.1311 x4
K 0.0716 0.0000 0.4464 x4
K 0.0771 0.5000 0.8060 x4
K 0.0862 0.5000 0.6081 x4
K 0.1877 0.5000 0.1879 x4
K 0.2109 0.5000 0.9975 x4
K 0.2260 0.0000 0.5266 x4
K 0.2498 0.0000 0.3110 x4
Cd 0.0000 0.0000 0.0000 x2
Cd 0.1336 0.0000 0.8874 x4
Pb 0.0487 0.5000 0.3417 x4
Pb 0.0804 0.0000 0.7018 x4
Pb 0.0864 0.2440 0.9842 x8
Pb 0.1104 0.0000 0.1436 x4
Pb 0.1387 0.2647 0.3348 x8
Pb 0.1536 0.5000 0.4857 x4
Pb 0.1700 0.0000 0.6606 x4
Pb 0.1867 0.2421 0.8060 x8
Pb 0.1888 0.0000 0.0768 x4

Main lines, by angle (2θ = 10–90°):
13.50 deg, I 97.5, hkl 4 0 0
13.98 deg, I 56.9, hkl 2 0 -3
14.63 deg, I 46.7, hkl 1 1 1
29.51 deg, I 100.0, hkl 2 2 2
29.82 deg, I 60.5, hkl 4 2 -3
30.08 deg, I 57.9, hkl 3 1 4
31.63 deg, I 68.3, hkl 0 0 6
32.05 deg, I 74.0, hkl 10 0 -1

---

[2]
Computed X-ray powder pattern
Compound: KCdSb
Radiation: Cu Kα, 1.54184 Å
Structure: a cell relaxed with GGA-PBE
Lines closer than 0.1° are merged.

Atomic structure:
a b c (Å): 4.8522 4.8522 8.4082
angles (deg): 90.00 90.00 90.00
Space group P4/nmm (No. 129, origin choice 2)
Symmetry-distinct sites (fractional):
K 0.2500 0.2500 0.1572 x2
Cd 0.2500 0.7500 0.5000 x2
Sb 0.2500 0.2500 0.7117 x2

Main lines, by angle (2θ = 10–90°):
10.52 deg, I 97.9, hkl 0 0 1
21.14 deg, I 38.9, hkl 1 0 1
28.09 deg, I 59.4, hkl 1 1 1
33.72 deg, I 100.0, hkl 1 1 2
37.05 deg, I 64.8, hkl 2 0 0
41.61 deg, I 23.7, hkl 1 1 3
53.40 deg, I 26.1, hkl 2 2 0
64.67 deg, I 28.4, hkl 3 1 2


Entry 1:
KCaAsO12: calculated PXRD pattern (λ = 1.5418 Å (Cu Kα)), based on a cell relaxed with GGA-PBE.

Largest 10 diffraction maxima, low angle first, 2θ from 10° to 90°:
2θ 11.3, intensity 56
2θ 13.7, intensity 44
2θ 21.1, intensity 100
2θ 22.7, intensity 33
2θ 26.4, intensity 66
2θ 27.6, intensity 41
2θ 31.0, intensity 47
2θ 32.1, intensity 38
2θ 35.8, intensity 79
2θ 43.0, intensity 33

Lattice parameters (Å, degrees): 3.9636 8.6015 8.6015 48.79 90.00 90.00
Fractional coordinates of all 15 atoms:
K 0.0000 0.0000 0.0000
Ca 0.0000 0.6567 0.6567
As 0.5000 0.2881 0.2881
O 0.0000 0.0017 0.4598
O 0.0000 0.4598 0.0017
O 0.2163 0.3748 0.3748
O 0.3371 0.3643 0.7321
O 0.3371 0.7321 0.3643
O 0.3422 0.8417 0.8417
O 0.5000 0.0247 0.4113
O 0.5000 0.4113 0.0247
O 0.6578 0.8417 0.8417
O 0.6629 0.3643 0.7321
O 0.6629 0.7321 0.3643
O 0.7837 0.3748 0.3748

Entry 2:
KCaAsO12: calculated PXRD pattern (λ = 1.5418 Å (Cu Kα)), based on a cell relaxed with GGA-PBE.

Largest 10 diffraction maxima, low angle first, 2θ from 10° to 90°:
2θ 11.6, intensity 10
2θ 12.4, intensity 100
2θ 20.9, intensity 30
2θ 22.1, intensity 25
2θ 23.3, intensity 19
2θ 25.0, intensity 20
2θ 27.1, intensity 20
2θ 29.2, intensity 15
'''

There are currently over 53,000 hotspots worldwide (up from zero in 2019), making up the Helium network. Currently, the biggest hurdle to the network growing is the backlog of orders that the makers of these hotspots are experiencing. In fact there are over five times as many hotspots on backorder as there are in operation. The list of compatible mining hotspots for the Helium network is growing. However, if you click that link you will see that all of the compatible mining hotspots are on backorder. This is both good and bad news. It clearly shows that there is demand for the product and the network, but bad in that you are going to have to wait in line to get involved. I have ordered a few mining hotspots and they are not scheduled to ship until sometime this summer (the semiconductor chip shortage is real). As more manufactures of compatible hotspots begin to relieve the backorders, Helium believes they are well on their way to becoming the world’s largest and fastest-growing network with over 600,000 hotspots projected to be operational in the next eighteen months.

Like I have mentioned a few times, this idea is in the early innings and if they can execute and overcome hurdles like this, they have the potential to really become something big.

I am going to repeat the disclaimer that you have heard me say before on investments like this. This idea is a speculative venture capital like investment that has the potential of going to zero. If you feel that you have room in the speculative portion (very tiny percentage) of your portfolio, this is an idea that I feel has the potential to become mainstream, and as Mr. Metcalfe would predict, very valuable.

We’ll do this week’s live Q&A Chat at 1pm ET Friday.  Join me in the TWC Chat Room or just email us your question to support@tradingwithcody.com.

Cory Greak and Piper Adamian helped write this report.